Saturday, May 30, 2009

Monday, June 1st activies

Since in all actuality this coming Monday although it being June 1st is a off day, but I will be doing other things for 'My MTB Comeback Adventure'

I have a photographer (who is donating their time and camera work) coming to do before pictures of me. I will be up-dating these every 3 mths.

I will also be taking measurements of my neck, waist, thighs, calves, biceps, etc. these will be up-dated every 3 mths also.

I will weight myself and up-date weekly.

I will be setting up kitchen area (actually have started this already) for ease of making my energy drinks and pure fruit smoothies and cooking.

Making sure my weight room & exercise equipment, chart board is set and all ready.

The hardest part of any dream or adventure is getting started. The other hardest part is following through. Anyone can talk about climbing Mt Everest or jabber all day about how they would like to kayak around Greenland or even race in the Transrockies. Most don't realize what it takes to make a dream/adventure come true - sure some wishing, some prayers but besides that the countless hours of planning and re-planning, the training, the money, overcoming health issues, the sponsorships (if any), TIME! and then the mental part of getting yourself psyched up and attaining the motivation and keeping it during the failing parts, the loneliness and the drudge parts ( 2 hrs on rollers). Did I mention TIME!

Most people only see the after effects of things. They will watch Tiger Woods and say how lucky he is to do that or 'Man I wish I could be him or do that' or read about Warren Buffet and say how fortunate he is to be so rich. They do not see the struggles, the failures, the trials and errors. They have no idea of the sacrifices they have made, the steadfast efforts they have put forth or the faith they have exercised, so as to conquer the unconquerable and realize the dream of their hearts.

The idea you toss around in your head, the dream that keeps your heart beating rapidly every time you think about it - this you will construct your life by, this you will become. Not by chance, although a small percentage of some do make it this way, but by effort which builds into results. The measure of these results - success, admiration, honor, power, material possessions, intellectual ownership, etc. are the fruits of those efforts. They are plans completed, goals accomplished, dreams realized...

Have a good day & let's be careful out there


I'll give up cycling when they pry my cold, dead fingers from the handlebar.

I Luv Climbing ___/\/\/\___

Soon to start!!!

June 1st is getting close and as we all knows that starts 'My Adventure' back to MTBiking and possibly new and better things. I want to thank all who so far has join in to follow and/or commented... Keep the faith!


Thursday, May 28, 2009

Life Rest Days - Spiritual Rest Days

Good morning all! Did a short 3 mile ride this morning, with a misty rain in the air and some light basic exercises ( push-ups, sit-ups, wind-mills, jumping jacks)

Several people have questioned me as to what I mean by Life/Spiritual Rest days, so I figured I would write a little about that, while eating my oatmeal, a cup of yogurt and drinking some green tea.

Life rest days -I classify them as physical rest days from everyday life routines. Most people see these days as away from their regular 'day jobs' or schooling like as in 'the weekend' or 'my vacation' or maybe just a Sunday.

We all need these type days or else physical burn-out begins and soon stress builds and then BAM!, we're done for and nature forces us to take rest days by way of physical sickness and fatigue.

So it is when exercising - rest from doing everyday strenuous bodily workouts provides the opportunity for the body to repair its muscles and aid in their growth. As our body's grow older and if during this time period you are also active physically, rest and recovery are very important. Over training at any stage of exercise will not only kill the enjoyment but possibly you too.

So rest days from life's normal routine things and from everyday exercise is necessary and what I call my exercising rest days (not my everyday routine rest days) during June, will be Mon., Wed. and Fridays of each week.

Spiritual Rest Days -I classify these as times for me to kinda center myself mentally & physically with nature, others and the universe. I combine these days with physical rest days as well. I am not a religious person and by that I mean organized religion and all it's gatherings.

I am a spiritual person, I believe we were created by forces that we can't as puny humans, even come close to totally understanding, at least not yet. We are part of the natural Earthly environment. Our bodies are made up of 100% all natural Earth elements. ( except for them darn Hostess Susie Q's I eat, but I figure hey, my family will save insurance money because they won't need to embalm me) So part one of our make-up as humans is a physical Earth form made from parts of Earths elements, which is taken care of by physically resting it as wrote about above.

Our other part is the spirit part, some call this the soul, I call it the invisible mental part of our brain, (thoughts). Whatever human name you give it doesn't matter, what matters is that in reality it's a part of our being, it's the part of us that comes not from Earth physical elements but from invisible Universal elements (cause & effect) and just like our bodies we need to care for it.

### Calculated molecules that have nothing to do with the entry
____________
The following is a quantum chemistry calculation of a cluster of 10 separate species, C60H50N10O20 in total, from the OMol25 dataset.

As for the structure (SMILES): O=[N+]([O-])c1ccccc1.O=[N+]([O-])c1ccccc1.O=[N+]([O-])c1ccccc1.O=[N+]([O-])c1ccccc1.O=[N+]([O-])c1ccccc1.O=[N+]([O-])c1ccccc1.O=[N+]([O-])c1ccccc1.O=[N+]([O-])c1ccccc1.O=[N+]([O-])c1ccccc1.O=[N+]([O-])c1ccccc1. The frontier orbital gap is 8.5207 eV. The LUMO energy is -0.90 eV. The maximum force comes out at 0.073 hartree/bohr. As for the total energy: -4367.71092 Eh.

```
140
Properties=species:S:1:pos:R:3:forces:R:3
O 15.71987 -21.97246 -13.45373 -1.0052 0.3163 -0.2681
N 14.60201 -22.16323 -13.91150 -0.1397 -0.7881 -1.2079
O 13.82749 -21.30392 -14.32752 0.8855 -0.9165 0.7501
C 14.18935 -23.62783 -14.05422 1.2744 0.0360 2.5229
C 12.89470 -23.95586 -14.25708 -1.9958 0.5662 -1.9981
C 12.45277 -25.25898 -14.11270 0.4260 0.1327 -0.0076
C 13.33629 -26.21039 -13.67158 -2.2948 -2.5103 -0.5355
C 14.60754 -25.92221 -13.42346 3.3288 -0.1924 1.6562
C 15.02927 -24.61046 -13.52151 0.6789 0.5738 -0.8885
H 12.27033 -23.22321 -14.76235 -0.2825 0.0619 0.5541
H 11.48072 -25.59542 -14.37232 -0.8551 0.2849 -0.1897
H 13.05556 -27.27937 -13.59153 -0.2361 0.8512 -0.0055
H 15.27802 -26.74051 -13.00853 -0.6656 1.3523 -0.7430
H 16.04233 -24.36479 -13.31710 0.6614 0.2647 0.3720
O 12.02352 -14.83623 -16.16171 0.5938 3.4219 1.4379
N 11.79601 -15.88836 -16.61428 0.3095 -2.9711 -1.4992
O 12.56250 -16.50573 -17.34975 0.0673 0.1318 -0.1394
C 10.58129 -16.55639 -16.25863 -1.7054 -1.3284 0.7070
C 9.74979 -16.02479 -15.24182 1.0174 0.7418 -0.6976
C 8.63996 -16.69518 -14.84653 0.1681 -2.6189 -1.2572
C 8.43470 -18.01502 -15.39513 -1.8214 1.2498 1.8274
C 9.20341 -18.50995 -16.40547 -0.4107 -1.7277 -0.3106
C 10.29944 -17.80449 -16.84081 1.4608 0.9529 -0.6456
H 9.93403 -15.09030 -14.71673 0.4423 -0.0147 -0.5812
H 8.00643 -16.20946 -14.14879 -0.6301 -0.1768 0.6777
H 7.61812 -18.64879 -14.97421 0.6155 0.6854 -0.5105
H 8.94171 -19.52974 -16.79757 0.5595 1.1928 0.2936
H 11.00890 -18.21697 -17.59226 -0.7770 0.4646 0.6379
O 10.97964 -15.64893 -22.76808 -0.2604 0.6047 -0.2594
N 11.11517 -16.63115 -22.07816 -1.4205 -0.0928 0.0438
O 10.20190 -17.21198 -21.50918 0.1324 0.2144 0.0899
C 12.41416 -17.18109 -21.96042 2.0224 -0.9158 -0.2180
C 13.32753 -16.95639 -23.00693 -1.7920 1.2827 -0.0656
C 14.57670 -17.49354 -23.00939 1.5995 1.3594 -0.6754
C 14.97067 -18.20854 -21.92770 -0.6883 -0.7934 0.4509
C 14.07045 -18.46120 -20.91626 -0.7999 -0.6265 0.3510
C 12.74750 -17.97543 -20.88346 0.9867 -0.5167 0.0432
H 12.94333 -16.26039 -23.74081 0.3531 -0.1501 -0.3454
H 15.43500 -17.23301 -23.66460 -1.3776 -0.0537 -0.3210
H 15.94102 -18.63962 -22.00393 0.6253 -0.3964 0.6737
H 14.36226 -19.19319 -20.20698 0.1939 -0.2592 0.9741
H 12.05201 -18.25229 -20.07136 0.4818 0.3527 -0.6894
O 21.38791 -12.61399 -18.36340 -0.0282 0.0582 -0.0628
N 21.20427 -12.85706 -19.53108 0.1085 -0.5403 -2.3094
O 21.83283 -12.37384 -20.49066 -0.7927 -0.6821 1.6377
____________

Getting wrapped up in the everyday material world is a 24 hour job and we need to conduct ourselves in a noble manner towards other and other things, so that we can ascend spiritually to Divine Perfection. We do this by the choice and administering of right thoughts to our lives, (cause & effect). I take stock of these right thoughts by taking spiritual rest days.

I chose when my spiritual & physical rest days will occur by the moon phases, (full, quarter, new). If you look you'll see that most months a certain phase of the moon occurs anywhere between 6 to 9 days apart, so for me it make perfect sense to use Earth and Moon planetary cycles to attach my rest days to, as they are by nature perfectly spaced apart. (maybe by universal design for us humans?) Another part of my Spiritual rest days is what I call 'retreat days' which I do for 3 days during season changing time on Earth.

What I should be doing and what I have been doing on rest days has been highly changeable lately and starting June 1st, I will be trying to apply more of my being and thoughts into them. But I haven't minded the changeability too much, as that also is part of our human make-up, adapting to changes we might have to make to our plans in order to serve a better purpose for someone or something else. It's just that I now am feeling out of sorts lately and if I want to focus myself on achieving my MTBiking comeback than I am going to have to seriously take my spiritual rest days.

I will write more on what constitutes the make-up of my spiritual rest and retreat days later, but life's duty's are calling me...

Have a good day...


Tuesday, May 26, 2009

The Plan

OK, I rode 5 slowww miles today and didn't feel bad, I was huffing and puffing. My shoes were a little tight, might have to get me some new ones or smaller feet.

Anyway here's my workout plan for the month of June as I have it so far:

Mon, Weds. and Fridays will be rest days from workouts, and also the 7th, 15th, 22th and 29th of June, them being my regular monthly spiritual rest days.

Tues., Thurs., Sat. I have scheduled 1-1/2 hr workouts and on Sun. a 2 hr. workout.
These workouts will be about re-establishing my pulmonary & cardiovascular fitness base. Being 57 years old and having had a long battle with a collapsed lung, chronic pneumonia / Post-Traumatic Stress Syndrome and Depression, I am in need of getting my body use to training consistently while building my immune system up again.

This will be accomplished by long easy rides, which will include 3 or 4 - 4 minute LT intervals. Along with these rides I will be doing minor strength exercises too. Over training is one matter I will have to be careful to avoid in the coming months of workouts.

Depending on how I feel, etc. later in the month I will throw in some alternating power intervals and try some VO2 intervals, while increasing the time of my LT intervals also.


As for other riding plans. I am planning that between June 2nd and Nov. 30th of this year, I want to concentrate on just re-establishing my fitness and health, with maybe one or two local MTB races come Sept./Oct.

For Dec. 2009 - March 2010, keeping shape and health as much as weather will permit and not trying to lose to much base or fitness that I have established from earlier year.

April 2010 - Nov. 2010, train, ride, race different venues (maybe going out to Durango,Colorado and ride with Ned) with all of it leading up to doing the TR3 in August and then the Iceman Cometh in Nov.

Well that's it for now, have a safe week and check back regularly...



“I'll give up cycling when they pry my cold, dead fingers from the handlebar.”

I Luv Climbing ___/\/\/\___

Friday, May 22, 2009

The Adventure

I love riding my bike, there is nothing like competing in mountain bike races or just traveling the countryside, but due to a long illness I have not been riding much or even at all for close to a year and a half now.

I have set a date of June 1st, 2009 to get back to doing it and seeing if I can reach the goals I have set before me for the next 2 years.

So join in, follow and help encourage this old, out of shape cyclist as I try to transform myself into a lean, mean cycling machine and maybe, just maybe help others along the way during my adventure back into the cycling world...

Thank you for visiting my blog...


“I'll give up cycling when they pry my cold, dead fingers from the handlebar.”

I Luv Climbing ___/\/\/\___